• Entries:
Record 1
An optimized crystal structure of CuNi14Rh. Source: Alexandria, functional PBE.

a = 5.0308 Å, b = 5.0308 Å, c = 8.2086 Å
α = 90.00°, β = 90.00°, γ = 120.08°
Closest atoms and distances in Å follow each position.
Element x y z (fractional)
Ni (0.5428, 0.9604, 0.5000)  8 Ni 2.50-2.54, 2 Cu 2.51-2.52, 2 Rh 2.52
Ni (0.8739, 0.1261, 0.2471)  11 Ni 2.49-2.53, 1 Rh 2.54
Ni (0.8751, 0.6233, 0.7548)  10 Ni 2.48-2.54, 1 Cu 2.55, 1 Rh 2.55
Ni (0.3767, 0.1249, 0.7548)  10 Ni 2.48-2.54, 1 Cu 2.55, 1 Rh 2.55
Ni (0.8739, 0.1261, 0.7529)  11 Ni 2.49-2.53, 1 Rh 2.54
Ni (0.0396, 0.4572, 0.5000)  8 Ni 2.50-2.54, 2 Cu 2.51-2.52, 2 Rh 2.52
Ni (0.2091, 0.7909, 0.0000)  12 Ni 2.48-2.52
Ni (0.8751, 0.6233, 0.2452)  10 Ni 2.48-2.54, 1 Cu 2.55, 1 Rh 2.55
Ni (0.7087, 0.2913, 0.0000)  12 Ni 2.48-2.52
Ni (0.3767, 0.1249, 0.2452)  10 Ni 2.48-2.54, 1 Cu 2.55, 1 Rh 2.55
Ni (0.3742, 0.6258, 0.2482)  11 Ni 2.49-2.53, 1 Cu 2.53
Ni (0.7081, 0.7916, 0.0000)  12 Ni 2.49-2.52
Ni (0.2084, 0.2919, 0.0000)  12 Ni 2.49-2.52
Ni (0.3742, 0.6258, 0.7518)  11 Ni 2.49-2.53, 1 Cu 2.53
Cu (0.5418, 0.4582, 0.5000)  10 Ni 2.51-2.55, 2 Rh 2.51
Rh (0.0417, 0.9583, 0.5000)  2 Cu 2.51, 10 Ni 2.52-2.55


Record 2
An optimized crystal structure of Pr6SmY2. Source: Alexandria, functional PBE.

a = 7.0059 Å, b = 10.7197 Å, c = 10.7197 Å
α = 108.79°, β = 71.22°, γ = 71.22°
Closest atoms and distances in Å follow each position.
Element x y z (fractional)
Pr (0.7430, 0.3177, 0.9640)  6 Pr 3.44-3.84, 2 Y 3.51-3.52, 1 Sm 3.73
Pr (0.8513, 0.3110, 0.3421)  1 Sm 3.47, 3 Y 3.51-3.65, 6 Pr 3.54-3.79
Pr (0.3513, 0.3421, 0.3110)  1 Sm 3.47, 3 Y 3.51-3.65, 6 Pr 3.54-3.79
Pr (0.1829, 0.3563, 0.0174)  7 Pr 3.44-3.84, 1 Sm 3.45, 2 Y 3.55-3.70
Pr (0.6829, 0.0174, 0.3563)  7 Pr 3.44-3.84, 1 Sm 3.45, 2 Y 3.55-3.70
Pr (0.7570, 0.0360, 0.6823)  6 Pr 3.44-3.84, 2 Y 3.51-3.52, 1 Sm 3.73
Pr (0.2430, 0.9640, 0.3177)  6 Pr 3.44-3.84, 2 Y 3.51-3.52, 1 Sm 3.73
Pr (0.8171, 0.6437, 0.9826)  7 Pr 3.44-3.84, 1 Sm 3.45, 2 Y 3.55-3.70
Pr (0.6487, 0.6579, 0.6890)  1 Sm 3.47, 3 Y 3.51-3.65, 6 Pr 3.54-3.79
Pr (0.2570, 0.6823, 0.0360)  6 Pr 3.44-3.84, 2 Y 3.51-3.52, 1 Sm 3.73
Pr (0.1487, 0.6890, 0.6579)  1 Sm 3.47, 3 Y 3.51-3.65, 6 Pr 3.54-3.79
Pr (0.3171, 0.9826, 0.6437)  7 Pr 3.44-3.84, 1 Sm 3.45, 2 Y 3.55-3.70
Y (0.0365, 0.3109, 0.6242)  2 Y 3.50-3.63, 8 Pr 3.51-3.91
Y (0.4635, 0.3758, 0.6891)  2 Y 3.50-3.63, 8 Pr 3.51-3.91
Y (0.9635, 0.6891, 0.3758)  2 Y 3.50-3.63, 8 Pr 3.51-3.91
Y (0.5365, 0.6242, 0.3109)  2 Y 3.50-3.63, 8 Pr 3.51-3.91
Sm (0.2500, 0.0127, 0.9873)  6 Pr 3.45-3.73, 2 Sm 3.53
Sm (0.7500, 0.9873, 0.0127)  6 Pr 3.45-3.73, 2 Sm 3.53

Calculated values
Offset from the most stable computed form in kJ/mol of atoms: 0.0


no.,formation energy from the elements (eV per formula unit),calculated total energy (eV/cell)
1,0.48,-91.91
2,0.97,-90.71


Density functional theory data (PBE) for crystalline TiSb2TeAs at its relaxed geometry.

V = 29.51 A^3/atom
Polymorph energy (0 for the lowest one) = 434.6 meV/atom
Energy = -19.8 eV for the cell shown
Total magnetization = 0.1 μB per formula unit

abc: 5.2218 5.2218 5.4114
angles: 90.00 90.00 90.00
Closest atoms and distances in Å follow each position.
Space group P4/mmm (No. 123)
Inequivalent atoms, fractional coordinates:
Ti: 0.0000 0.0000 0.0000 (multiplicity 1)  4 Te 3.69, 8 Sb 3.76
Sb: 0.0000 0.5000 0.5000 (multiplicity 2)  2 As 2.61
Te: 0.5000 0.5000 0.0000 (multiplicity 1)  2 As 2.71
As: 0.5000 0.5000 0.5000 (multiplicity 1)  4 Sb 2.61, 2 Te 2.71

Density functional theory data (PBE) for crystalline NaCu3SnSe4 at its relaxed geometry.

V = 25.04 A^3/atom
Energy = -33.4 eV for the cell shown
Total magnetization = 0.0 μB per formula unit

abc: 6.0853 6.0853 6.0853
angles: 90.00 90.00 90.00
Closest atoms and distances in Å follow each position.
Space group P-43m (No. 215)
Inequivalent atoms, fractional coordinates:
Na: 0.0000 0.0000 0.0000 (multiplicity 1)  4 Se 2.75
Cu: 0.0000 0.5000 0.5000 (multiplicity 3)  4 Se 2.60

• Exercise:
Your job: find "(0.6829, 0.0174," and "(multiplicity 2)" in the calculation results further above, and set down these two lines and those between.

• Here it is:
Pr (0.6829, 0.0174, 0.3563)  7 Pr 3.44-3.84, 1 Sm 3.45, 2 Y 3.55-3.70
Pr (0.7570, 0.0360, 0.6823)  6 Pr 3.44-3.84, 2 Y 3.51-3.52, 1 Sm 3.73
Pr (0.2430, 0.9640, 0.3177)  6 Pr 3.44-3.84, 2 Y 3.51-3.52, 1 Sm 3.73
Pr (0.8171, 0.6437, 0.9826)  7 Pr 3.44-3.84, 1 Sm 3.45, 2 Y 3.55-3.70
Pr (0.6487, 0.6579, 0.6890)  1 Sm 3.47, 3 Y 3.51-3.65, 6 Pr 3.54-3.79
Pr (0.2570, 0.6823, 0.0360)  6 Pr 3.44-3.84, 2 Y 3.51-3.52, 1 Sm 3.73
Pr (0.1487, 0.6890, 0.6579)  1 Sm 3.47, 3 Y 3.51-3.65, 6 Pr 3.54-3.79
Pr (0.3171, 0.9826, 0.6437)  7 Pr 3.44-3.84, 1 Sm 3.45, 2 Y 3.55-3.70
Y (0.0365, 0.3109, 0.6242)  2 Y 3.50-3.63, 8 Pr 3.51-3.91
Y (0.4635, 0.3758, 0.6891)  2 Y 3.50-3.63, 8 Pr 3.51-3.91
Y (0.9635, 0.6891, 0.3758)  2 Y 3.50-3.63, 8 Pr 3.51-3.91
Y (0.5365, 0.6242, 0.3109)  2 Y 3.50-3.63, 8 Pr 3.51-3.91
Sm (0.2500, 0.0127, 0.9873)  6 Pr 3.45-3.73, 2 Sm 3.53
Sm (0.7500, 0.9873, 0.0127)  6 Pr 3.45-3.73, 2 Sm 3.53

Calculated values
Offset from the most stable computed form in kJ/mol of atoms: 0.0


no.,formation energy from the elements (eV per formula unit),calculated total energy (eV/cell)
1,0.48,-91.91
2,0.97,-90.71


Density functional theory data (PBE) for crystalline TiSb2TeAs at its relaxed geometry.

V = 29.51 A^3/atom
Polymorph energy (0 for the lowest one) = 434.6 meV/atom
Energy = -19.8 eV for the cell shown
Total magnetization = 0.1 μB per formula unit

abc: 5.2218 5.2218 5.4114
angles: 90.00 90.00 90.00
Closest atoms and distances in Å follow each position.
Space group P4/mmm (No. 123)
Inequivalent atoms, fractional coordinates:
Ti: 0.0000 0.0000 0.0000 (multiplicity 1)  4 Te 3.69, 8 Sb 3.76
Sb: 0.0000 0.5000 0.5000 (multiplicity 2)  2 As 2.61